Transcribe everything further below with every line break kept.
Entry 1:
Computed powder diffraction line list of K2MoS2O10 for CuKα, from a crystal structure in the Materials Project, relaxed with PBE+U.
Kinematic intensities with the Lorentz-polarization factor, no thermal factor.

Main lines, by angle (2θ from 10° to 80°):
2theta  Rel. int.  hkl
12.54  100  1 1 0
13.88  37  0 2 0
17.43  59  0 2 1
18.78  46  1 1 1
23.43  25  0 3 1
24.48  86  2 1 -2
26.98  27  1 0 2
27.33  87  1 3 1
27.86  19  1 1 2
30.69  26  3 0 -2
32.52  33  3 2 -1
38.42  17  0 3 3

Structure:
```
data_K2MoS2O10
_chemical_formula_sum 'K8 Mo4 S8 O40'
_symmetry_space_group_name_H-M 'P 1 21/c 1'
_symmetry_Int_Tables_number 14
_cell_length_a 9.1632
_cell_length_b 12.7605
_cell_length_c 9.1048
_cell_angle_alpha 90.00
_cell_angle_beta 112.32
_cell_angle_gamma 90.00
loop_
_symmetry_equiv_pos_as_xyz
'x,y,z'
'-x,-y,-z'
'-x,y+1/2,-z+1/2'
'x,-y+1/2,z+1/2'
loop_
_atom_site_label
_atom_site_type_symbol
_atom_site_fract_x
_atom_site_fract_y
_atom_site_fract_z
K1 K 0.1782 0.1195 0.2059
K2 K 0.3045 0.0159 0.6995
Mo1 Mo 0.2784 0.6675 0.6538
S1 S 0.0691 0.6421 0.8739
S2 S 0.4633 0.2001 0.0270
O1 O 0.0778 0.5281 0.8657
O2 O 0.0849 0.1811 0.6396
O3 O 0.1000 0.6917 0.7314
O4 O 0.1639 0.6028 0.4811
O5 O 0.1989 0.6794 0.0238
O6 O 0.3600 0.5667 0.7869
O7 O 0.3714 0.2039 0.4991
O8 O 0.3765 0.1044 0.0292
O9 O 0.3887 0.7048 0.3251
O10 O 0.4796 0.6871 0.6127
```

---

Entry 2:
Computed powder diffraction line list of SrEuNiO4 for CuKα, from a crystal structure in the Materials Project, relaxed with PBE+U.
Kinematic intensities with the Lorentz-polarization factor, no thermal factor.

Main lines, by angle (2θ from 10° to 80°):
2theta  Rel. int.  hkl
24.19  16  1 1 1
29.01  11  0 4 0
31.85  100  1 3 1
32.86  74  2 0 0
43.62  17  1 5 1
44.14  11  0 6 0
44.40  29  2 4 0
47.16  38  2 0 2
56.10  12  2 6 0
58.03  37  3 3 1
66.17  9  3 5 1
66.57  11  2 6 2

Structure:
```
data_SrEuNiO4
_chemical_formula_sum 'Sr4 Eu4 Ni4 O16'
_symmetry_space_group_name_H-M 'C m c m'
_symmetry_Int_Tables_number 63
_symmetry_space_group_name_Hall '-C 2c 2'
_cell_length_a 5.4459
_cell_length_b 12.3113
_cell_length_c 5.4566
_cell_angle_alpha 90.00
_cell_angle_beta 90.00
_cell_angle_gamma 90.00
loop_
_atom_site_label
_atom_site_type_symbol
_atom_site_fract_x
_atom_site_fract_y
_atom_site_fract_z
Sr1 Sr 0.0000 0.1073 0.2500
Eu1 Eu 0.0000 0.3879 0.2500
Ni1 Ni 0.0000 0.2507 0.7500
O1 O 0.0000 0.0908 0.7500
O2 O 0.0000 0.4209 0.7500
O3 O 0.2500 0.2500 0.0000
```

---

Entry 3:
Computed powder diffraction line list of Li9Mn2Co5O16 for CuKα, from a crystal structure in the Materials Project, relaxed with PBE+U.
Kinematic intensities with the Lorentz-polarization factor, no thermal factor.

Main lines, by angle (2θ from 10° to 80°):
2theta  Rel. int.  hkl
11.92  9  1 1 0
18.35  100  2 0 0
35.94  14  2 0 -2
36.36  26  0 4 1
37.75  8  2 4 -1
43.14  28  4 0 -2
44.10  52  2 4 1
47.59  9  4 4 -1
58.04  9  4 4 1
62.84  15  6 4 -1
63.94  21  2 4 -3
67.56  9  0 4 3

Structure:
```
data_Li9Mn2Co5O16
_chemical_formula_sum 'Li18 Mn4 Co10 O32'
_symmetry_space_group_name_H-M 'C 1 2 1'
_symmetry_Int_Tables_number 5
_cell_length_a 10.3196
_cell_length_b 11.5837
_cell_length_c 5.0539
_cell_angle_alpha 90.00
_cell_angle_beta 110.45
_cell_angle_gamma 90.00
loop_
_symmetry_equiv_pos_as_xyz
'x,y,z'
'-x,y,-z'
'x+1/2,y+1/2,z'
'-x+1/2,y+1/2,-z'
loop_
_atom_site_label
_atom_site_type_symbol
_atom_site_fract_x
_atom_site_fract_y
_atom_site_fract_z
Li1 Li 0.0000 0.0000 0.0000
Li2 Li 0.2382 0.8763 0.0062
Li3 Li 0.2408 0.9991 0.4836
Li4 Li 0.2462 0.7472 0.5018
Li5 Li 0.2489 0.1222 0.0006
Mn1 Mn 0.0000 0.1225 0.5000
Mn2 Mn 0.0000 0.3746 0.5000
Co1 Co 0.0000 0.2479 0.0000
Co2 Co 0.0000 0.4979 0.0000
Co3 Co 0.0000 0.6267 0.5000
Co4 Co 0.0000 0.7554 0.0000
Co5 Co 0.0000 0.8772 0.5000
O1 O 0.1046 0.3735 0.2436
O2 O 0.1075 0.2501 0.7461
O3 O 0.1091 0.6168 0.2325
O4 O 0.1103 0.1339 0.2570
O5 O 0.1164 0.0057 0.7243
O6 O 0.1176 0.4918 0.7268
O7 O 0.1179 0.7469 0.7414
O8 O 0.1185 0.8668 0.2524
```

---

Entry 4:
Entry 1:
Computed powder diffraction line list of K2MoS2O10 for CuKα, from a crystal structure in the Materials Project, relaxed with PBE+U.
Kinematic intensities with the Lorentz-polarization factor, no thermal factor.

Main lines, by angle (2θ from 10° to 80°):
2theta  Rel. int.  hkl
12.54  100  1 1 0
13.88  37  0 2 0
17.43  59  0 2 1
18.78  46  1 1 1
23.43  25  0 3 1
24.48  86  2 1 -2
26.98  27  1 0 2
27.33  87  1 3 1
27.86  19  1 1 2
30.69  26  3 0 -2
32.52  33  3 2 -1
38.42  17  0 3 3

Structure:
```
data_K2MoS2O10
_chemical_formula_sum 'K8 Mo4 S8 O40'
_symmetry_space_group_name_H-M 'P 1 21/c 1'
_symmetry_Int_Tables_number 14
_cell_length_a 9.1632
_cell_length_b 12.7605
_cell_length_c 9.1048
_cell_angle_alpha 90.00
_cell_angle_beta 112.32
_cell_angle_gamma 90.00
loop_
_symmetry_equiv_pos_as_xyz
'x,y,z'
'-x,-y,-z'
'-x,y+1/2,-z+1/2'
'x,-y+1/2,z+1/2'
loop_
_atom_site_label
_atom_site_type_symbol
_atom_site_fract_x
_atom_site_fract_y
_atom_site_fract_z
K1 K 0.1782 0.1195 0.2059
K2 K 0.3045 0.0159 0.6995
Mo1 Mo 0.2784 0.6675 0.6538
S1 S 0.0691 0.6421 0.8739
S2 S 0.4633 0.2001 0.0270
O1 O 0.0778 0.5281 0.8657
O2 O 0.0849 0.1811 0.6396
O3 O 0.1000 0.6917 0.7314
O4 O 0.1639 0.6028 0.4811
O5 O 0.1989 0.6794 0.0238
O6 O 0.3600 0.5667 0.7869
O7 O 0.3714 0.2039 0.4991
O8 O 0.3765 0.1044 0.0292
O9 O 0.3887 0.7048 0.3251
O10 O 0.4796 0.6871 0.6127
```

---

Entry 2:
Computed powder diffraction line list of SrEuNiO4 for CuKα, from a crystal structure in the Materials Project, relaxed with PBE+U.
Kinematic intensities with the Lorentz-polarization factor, no thermal factor.

Main lines, by angle (2θ from 10° to 80°):
2theta  Rel. int.  hkl
24.19  16  1 1 1
29.01  11  0 4 0
31.85  100  1 3 1
32.86  74  2 0 0
43.62  17  1 5 1
44.14  11  0 6 0
44.40  29  2 4 0
47.16  38  2 0 2
56.10  12  2 6 0
58.03  37  3 3 1
66.17  9  3 5 1
66.57  11  2 6 2

Structure:
```
data_SrEuNiO4
_chemical_formula_sum 'Sr4 Eu4 Ni4 O16'
_symmetry_space_group_name_H-M 'C m c m'
_symmetry_Int_Tables_number 63
_symmetry_space_group_name_Hall '-C 2c 2'
_cell_length_a 5.4459
_cell_length_b 12.3113
_cell_length_c 5.4566
_cell_angle_alpha 90.00
_cell_angle_beta 90.00
_cell_angle_gamma 90.00
loop_
_atom_site_label
_atom_site_type_symbol
_atom_site_fract_x
_atom_site_fract_y
_atom_site_fract_z
Sr1 Sr 0.0000 0.1073 0.2500
Eu1 Eu 0.0000 0.3879 0.2500
Ni1 Ni 0.0000 0.2507 0.7500
O1 O 0.0000 0.0908 0.7500
O2 O 0.0000 0.4209 0.7500
O3 O 0.2500 0.2500 0.0000
```

---

Entry 3:
Computed powder diffraction line list of Li9Mn2Co5O16 for CuKα, from a crystal structure in the Materials Project, relaxed with PBE+U.
Kinematic intensities with the Lorentz-polarization factor, no thermal factor.

Main lines, by angle (2θ from 10° to 80°):
2theta  Rel. int.  hkl
11.92  9  1 1 0
18.35  100  2 0 0
35.94  14  2 0 -2
36.36  26  0 4 1
37.75  8  2 4 -1
43.14  28  4 0 -2
44.10  52  2 4 1
47.59  9  4 4 -1
58.04  9  4 4 1
62.84  15  6 4 -1
63.94  21  2 4 -3
67.56  9  0 4 3

Structure:
```
data_Li9Mn2Co5O16
_chemical_formula_sum 'Li18 Mn4 Co10 O32'
_symmetry_space_group_name_H-M 'C 1 2 1'
_symmetry_Int_Tables_number 5
_cell_length_a 10.3196
_cell_length_b 11.5837
_cell_length_c 5.0539
_cell_angle_alpha 90.00
_cell_angle_beta 110.45
_cell_angle_gamma 90.00
loop_
_symmetry_equiv_pos_as_xyz
'x,y,z'
'-x,y,-z'
'x+1/2,y+1/2,z'
'-x+1/2,y+1/2,-z'
loop_
_atom_site_label
_atom_site_type_symbol
_atom_site_fract_x
_atom_site_fract_y
_atom_site_fract_z
Li1 Li 0.0000 0.0000 0.0000
Li2 Li 0.2382 0.8763 0.0062
Li3 Li 0.2408 0.9991 0.4836
Li4 Li 0.2462 0.7472 0.5018
Li5 Li 0.2489 0.1222 0.0006
Mn1 Mn 0.0000 0.1225 0.5000
Mn2 Mn 0.0000 0.3746 0.5000
Co1 Co 0.0000 0.2479 0.0000
Co2 Co 0.0000 0.4979 0.0000
Co3 Co 0.0000 0.6267 0.5000
Co4 Co 0.0000 0.7554 0.0000
Co5 Co 0.0000 0.8772 0.5000
O1 O 0.1046 0.3735 0.2436
O2 O 0.1075 0.2501 0.7461
O3 O 0.1091 0.6168 0.2325
O4 O 0.1103 0.1339 0.2570
O5 O 0.1164 0.0057 0.7243
O6 O 0.1176 0.4918 0.7268
O7 O 0.1179 0.7469 0.7414
O8 O 0.1185 0.8668 0.2524
```

---

Entry 4: